Saturday, August 16, 2008

Carlson Full Time MBA Orientation Debrief

On Friday our 5 day orientation came to a close with a final dinner. Here's a recap of the activities that went on during those 5 days:

........
## 1
Here is a single C3H3NOS molecule from the OMol25 dataset. Energies are from wB97M-V/def2-TZVPD.

Values from the calculation:
charge	0
gap between HOMO and LUMO (spin up / spin down)	6.02 / 8.30	eV
LUMO (spin up / spin down)	-1.88 / -1.33	eV

The geometry in XYZ format:
```
9
C3H3NOS (wB97M-V/def2-TZVPD)
C 0.0334 0.6936 1.4597
C 0.3902 1.9644 1.5942
C 0.2470 0.2685 -0.8875
N 0.1586 -0.1251 0.4376
O 0.0825 1.5159 -1.2324
S 1.1076 3.2159 2.0720
H -0.0511 0.1202 2.3167
H 1.3327 -0.3076 -1.2496
H -0.2529 -0.4550 -1.4852
```

***

## 2
Here is a single C3H3NOS molecule from the OMol25 dataset. Energies are from wB97M-V/def2-TZVPD.

Values from the calculation:
charge	0
gap between HOMO and LUMO	10.75	eV
LUMO	0.11	eV
SMILES	CSC(=O)C#N

The geometry in XYZ format:
```
9
C3H3NOS (wB97M-V/def2-TZVPD)
C -0.4864 -0.2547 1.6656
S 0.2649 -0.6617 0.0712
C -0.0795 0.5950 -1.1078
O -0.8126 1.5167 -1.0835
C 1.0495 0.0636 -2.4545
N 1.8813 -0.4759 -2.9995
H -0.2440 0.7437 1.9721
H -0.0095 -1.0493 2.2208
H -1.5637 -0.4774 1.7157
```

***

What should be chosen as the least stable of them? Choose 1.

***

## 1
Here is a molecular structure, C6H6N from the OMol25 dataset. Energies are from wB97M-V/def2-TZVPD.

Values from the calculation:
charge	+1
gap between HOMO and LUMO	9.14	eV
LUMO	-5.19	eV

The geometry in XYZ format:
```
13
C6H6N (wB97M-V/def2-TZVPD)
C -1.1844 -0.0840 0.0815
C -2.3043 0.5735 -0.1284
C 2.0246 -0.2287 -0.0603
C -0.6031 -1.4423 0.1185
C 1.2617 1.0872 0.0888
C 0.6282 -0.9438 -0.2165
N 0.1637 0.4116 -0.0830
H -2.3818 1.5891 -0.2367
H -3.3208 0.2085 -0.0877
H 2.6660 -0.4745 -0.9500
H 2.4139 -0.4393 0.8386
H -0.9146 -2.3945 0.3015
H 1.5508 2.1371 0.3335
```

***

## 2
Here is a gas-phase ion, C6H6N (charge +1) from the OMol25 dataset. Energies are from wB97M-V/def2-TZVPD.

Values from the calculation:
charge	+1
gap between HOMO and LUMO	8.32	eV
LUMO	-5.92	eV
SMILES	C=C1C#[N+]C=CC1

The geometry in XYZ format:
```
13
C6H6N (wB97M-V/def2-TZVPD)
C 0.4101 2.2690 0.1450
C -0.1711 1.1147 0.4543
C -0.5379 0.4625 1.6450
N -1.0464 -0.5493 2.0257
C -1.0178 -1.7605 1.3743
C -0.4480 -1.5542 0.1670
C 0.1004 -0.3210 -0.2964
H 0.8482 2.2063 -0.8599
H 0.2503 3.2607 0.7667
H -1.6593 -2.6716 1.6287
H -0.1575 -2.2292 -0.5657
H 1.1624 -0.3084 -0.3694
H -0.2039 -0.1412 -1.3205
```

***

## 3
Here is a gas-phase ion, C6H6N (charge +1) from the OMol25 dataset. Energies are from wB97M-V/def2-TZVPD.

Values from the calculation:
charge	+1
gap between HOMO and LUMO	7.69	eV
LUMO	-7.62	eV

The geometry in XYZ format:
```
13
C6H6N (wB97M-V/def2-TZVPD)
C 1.5284 -1.8650 0.0071
C 0.2834 -1.5576 0.0331
C 1.8789 0.9144 0.0305
C 2.9596 0.2133 -0.0364
C -0.2273 -0.1460 0.0215
C -1.6830 0.0533 -0.0142
N 0.5619 0.8458 0.0443
H 2.2478 1.9707 0.0938
H 4.0102 0.0698 -0.1157
H -0.4983 -2.3061 0.0548
H -2.2391 -0.8413 -0.2819
H -1.9305 0.8479 -0.7244
H -2.0283 0.3985 0.9666
```

***

What should be chosen as the least stable of them? Choose 3.

***

## 1
........

Day 1
On the first day we had our kickoff dinner, a time for the members of the class of 2010 to meet each other while the assistant dean tells us all how great we are. In our class we have someone from the Counter Terrorist Unit (that's right...the same CTU that employs Jack Bauer), a couple of Chinese diplomats, and a Bangladeshi pop star to name a few. I have to admit, after hearing the list of some of my classmate's accomplishments, I felt rather average. There was one statistic that rather surprised me, namely the fact that our class is only 19% international. Two years ago Carlson's Full Time MBA class was 40% international and last year's class was around 30% international. I wonder why there was such a drop this year...

Day 2
During the day the MBA office staff introduced themselves and we were given an introduction to the case method of teaching. I found the "mini-case" class thoroughly enjoyable and I'm definitely looking forward to participating in such classes in the future. In the afternoon we all headed over to Camp Iduhapi for some team building exercises. I had a good time despite the fact I HATE the outdoors or anything that remotely resembles camping and that the activities the camp leaders made us do were kind of cheesy. Near the end of the day, we all split up into groups and did various activities that involved being strapped into harnesses and cavorting 30 feet above the ground. While other groups got to climb a huge wall or jump off of a pole, my group was stuck doing some lame trust exercise in which we had to lean on each other in order to cross a set of tightropes. Oh well, sometimes you just get the short end of the stick. After the camp outing the class all met at a nearby pub for drinks and appetizers.

Day 3
On this day we stayed indoors and were lectured to about personality types and critical thinking for half of the day. The first half of the day was quite boring, but during the second half a group of improv actors came in to talk to us about communication. The main presenter was freaking hilarious and he definitely woke the class up a bit. After that we broke up into groups and completed a team exercise in which we were to pretend that we were stranded somewhere in the Canadian arctic with only 15 items. We were all briefed on the situation and then were made to rank the 15 items from most to least important as a group. I basically learned that if I were stuck out in the wilderness, I would most likely die a horrible death. After that we had a nice little class on business meal etiquette.

Day 4
The day started with an introduction to the MBAA (MBA Association) and a couple of writing classes, then moved on to the introduction to the Core Class professors. They all went on to introduce themselves and assure us that we all had made an excellent investment decision by deciding to attend Carlson. I found this interesting because I had just read an article written by a professor here at Carlson concerning fading optimism in products (you can download it here). The basic gist of the article is that if a consumer buys a product that is to be delivered later, the consumer's optimism about the product's performance declines as the date of delivery nears. Right after the purchase, the consumer is more optimistic about the product because he wants to reassure himself that he has made the right choice. As the product's delivery date approaches, the consumer lowers his optimism in the product in order to not "get his hopes up" in case the product does not perform as he expected it to. One of the obvious applications of this research would be for companies to reassure customers shortly before the delivery of a product. Were the professors here at this school employing this technique on us? I guess it would make sense for Carlson professors to utilize research that came out of the Carlson school.

After the lunch break, we were broken up into different groups and given a case for a mini-case competition. We were given 10 hours to read the case, perform analyses, and put together a presentation to be delivered the next morning. This was a tremendous learning experience, as I had never participated in anything like this before. I left at the end of the day (11pm) simply exhausted.

Day 5
In the morning all the teams gave their presentations and in the afternoon the best 4 presented for the whole class. My team wasn't selected to be in the final 4, but it was still a good learning experience nonetheless. I found that I have a lot to learn from my classmates when it comes to the business world. Although I have a degree in Finance, I received it almost 3 years ago and went into a non-business field after graduating. I was rather impressed by the presentation skills displayed by the top 4 groups. I've never given a formal "professional" presentation, so I can definitely gain from sharing a classroom with these people.

After the best 4 groups gave their presentations we had a break and came back for the closing dinner. Again, we were all told how wonderful we are while being treated to a mediocre dinner.

All in all, I would say that the orientation was a positive experience. It really opened my eyes as to what to expect in the next 2 years. If these 5 days were any indicator, I should be a better person after completing the MBA, and that's all you can really ask for from an education. Well......that and a better job.


Anonymous said...

Wow....your classmate is from CTU?!

Unconventional Applicant said...

Yup...Though he is an analyst, not really the "Jack Bauer" type.